_File_
'''
1.
VASP calculation (PBE) on a relaxed Ta2MnCu crystal.

Cell: 4.853 2.817 4.927 Å, 90.00 109.95 90.00°
Space group P2/m (No. 10)
Unique sites:
Ta (0.000, 0.000, 0.000) (multiplicity 1)
Ta (0.000, 0.500, 0.500) (multiplicity 1)
Mn (0.500, 0.000, 0.500) (multiplicity 1)
Cu (0.500, 0.500, 0.000) (multiplicity 1)

Output
**Energy relative to the elements**: 0.29 eV/atom



2.
VASP calculation (PBE) on a relaxed Li3TbGe3 crystal.

Cell: 6.626 6.626 6.626 Å, 90.00 90.00 90.00°
Space group Pm-3n (No. 223)
Unique sites:
Li (0.000, 0.250, 0.500) (multiplicity 6)
Tb (0.000, 0.000, 0.000) (multiplicity 2)
Ge (0.000, 0.500, 0.250) (multiplicity 6)

Output
**Energy relative to the elements**: 0.20 eV/atom



3.
VASP calculation (PBE) on a relaxed PaO3F crystal.

Cell: 11.085 6.241 5.455 Å, 90.00 109.08 90.00°
Space group C2/m (No. 12)
Unique sites:
Pa (0.182, 0.000, 0.005) (multiplicity 4)
O (0.052, 0.500, 0.088) (multiplicity 4)
O (0.200, 0.256, 0.763) (multiplicity 8)
F (0.041, 0.000, 0.239) (multiplicity 4)

Output
**E_form (uncorrected)**: -62.65 kcal/mol of atoms



4.
VASP calculation (PBE) on a relaxed TbPu2Ga6 crystal.

Cell: 7.8142 7.8142 3.4957 Å, 90.00 90.00 120.00°
Space group P6/mmm (No. 191)
Unique sites:
Tb (0.0000, 0.0000, 0.0000) (multiplicity 1)
Pu (0.3333, 0.6667, 0.0000) (multiplicity 2)
Ga (0.0000, 0.3325, 0.5000) (multiplicity 6)

Output
**Offset from the most stable computed form**: 0.000 eV per formula unit
**Energy relative to the elements**: -0.45 eV/atom



5.
VASP calculation (PBE) on a relaxed Hf4Sc2P3N2 crystal.

Cell: 4.209 4.209 21.197 Å, 90.00 90.00 90.00°
Space group I4/mmm (No. 139)
Unique sites:
Hf (0.000, 0.500, 0.077) (multiplicity 8)
Sc (0.000, 0.000, 0.199) (multiplicity 4)
P (0.000, 0.000, 0.325) (multiplicity 4)
P (0.000, 0.000, 0.500) (multiplicity 2)
N (0.000, 0.000, 0.101) (multiplicity 4)

Output
**E_form (uncorrected)**: -26.65 kcal/mol of atoms



6.
VASP calculation (PBE) on a relaxed CsC crystal.

Cell: 7.636 7.636 5.681 Å, 90.00 90.00 90.00°
Space group P4_2/mnm (No. 136)
Unique sites:
Cs (0.200, 0.200, 0.000) (multiplicity 4)
C (0.059, 0.059, 0.500) (multiplicity 4)

Output
**Offset from the most stable computed form**: 0.126 eV per formula unit
**Energy relative to the elements**: 0.37 eV/atom



7.
VASP calculation (PBE) on a relaxed Dy6ThIn5 crystal.

Cell: 5.025 8.717 15.128 Å, 90.00 90.00 90.00°
Space group Immm (No. 71)
Unique sites:
Dy (0.000, 0.228, 0.000) (multiplicity 4)
Dy (0.000, 0.263, 0.331) (multiplicity 8)
Th (0.000, 0.000, 0.500) (multiplicity 2)
In (0.000, 0.000, 0.177) (multiplicity 4)
In (0.000, 0.500, 0.154) (multiplicity 4)
In (0.000, 0.500, 0.500) (multiplicity 2)

Output
**Energy relative to the elements**: -0.36 eV/atom



8.
VASP calculation (PBE) on a relaxed RbTaMn3 crystal.

Cell: 5.085 5.085 5.085 Å, 90.00 90.00 90.00°
Space group Pm-3m (No. 221)
Unique sites:
Rb (0.000, 0.000, 0.000) (multiplicity 1)
Ta (0.500, 0.500, 0.500) (multiplicity 1)
Mn (0.000, 0.500, 0.500) (multiplicity 3)

Output
**Offset from the most stable computed form**: 0.000 eV per formula unit
**Energy relative to the elements**: 1.25 eV/atom



9.
VASP calculation (PBE) on a relaxed YSbPd5 crystal.

Cell: 8.368 9.343 7.179 Å, 90.00 105.32 90.00°
Space group C2/c (No. 15)
Unique sites:
Y (0.000, 0.159, 0.250) (multiplicity 4)
Sb (0.250, 0.250, 0.000) (multiplicity 4)
Pd (0.000, 0.446, 0.250) (multiplicity 4)
Pd (0.112, 0.307, 0.619) (multiplicity 8)
Pd (0.184, 0.020, 0.578) (multiplicity 8)

Output
**Offset from the most stable computed form**: 2.325 eV per formula unit
**E_form (uncorrected)**: -8.17 kcal/mol of atoms



10.
VASP calculation (PBE) on a relaxed LaTaAs2 crystal.

Cell: 4.096 4.096 10.598 Å, 90.00 90.00 90.00°
Space group I-4m2 (No. 119)
Unique sites:
La (0.000, 0.000, 0.000) (multiplicity 2)
Ta (0.000, 0.500, 0.750) (multiplicity 2)
As (0.000, 0.000, 0.500) (multiplicity 2)
As (0.000, 0.500, 0.250) (multiplicity 2)

Output
'''

_Job_
Next, find the line earlier on that holds "Cell: 5.085", then repeat that line and all lines after it there.

_Reply_
Cell: 5.085 5.085 5.085 Å, 90.00 90.00 90.00°
Space group Pm-3m (No. 221)
Unique sites:
Rb (0.000, 0.000, 0.000) (multiplicity 1)
Ta (0.500, 0.500, 0.500) (multiplicity 1)
Mn (0.000, 0.500, 0.500) (multiplicity 3)

Output
**Offset from the most stable computed form**: 0.000 eV per formula unit
**Energy relative to the elements**: 1.25 eV/atom



9.
VASP calculation (PBE) on a relaxed YSbPd5 crystal.

Cell: 8.368 9.343 7.179 Å, 90.00 105.32 90.00°
Space group C2/c (No. 15)
Unique sites:
Y (0.000, 0.159, 0.250) (multiplicity 4)
Sb (0.250, 0.250, 0.000) (multiplicity 4)
Pd (0.000, 0.446, 0.250) (multiplicity 4)
Pd (0.112, 0.307, 0.619) (multiplicity 8)
Pd (0.184, 0.020, 0.578) (multiplicity 8)

Output
**Offset from the most stable computed form**: 2.325 eV per formula unit
**E_form (uncorrected)**: -8.17 kcal/mol of atoms



10.
VASP calculation (PBE) on a relaxed LaTaAs2 crystal.

Cell: 4.096 4.096 10.598 Å, 90.00 90.00 90.00°
Space group I-4m2 (No. 119)
Unique sites:
La (0.000, 0.000, 0.000) (multiplicity 2)
Ta (0.000, 0.500, 0.750) (multiplicity 2)
As (0.000, 0.000, 0.500) (multiplicity 2)
As (0.000, 0.500, 0.250) (multiplicity 2)

Output